Understanding Oil Contaminants

Tom Bock
November 2018

Compound: NiPPt3
Source: the Alexandria database
Functional: PBE
Structure: relaxed

Computed properties:
Symmetry: C2/c
Fermi-level density of states, states/eV/atom: 0.632
Calculated total energy, eV per formula unit: -30.65
Total moment, μB per formula unit: 0.0

Cell lengths 5.707, 5.707, 10.764 Å; angles 90.42, 90.42, 56.60 degrees
Element x y z (fractional)
Ni 0.091 0.103 0.423
Ni 0.103 0.091 0.923
Ni 0.897 0.909 0.077
Ni 0.909 0.897 0.577
P 0.000 0.500 0.500
P 0.192 0.808 0.750
P 0.500 0.000 0.000
P 0.808 0.192 0.250
Pt 0.044 0.712 0.322
Pt 0.168 0.505 0.894
Pt 0.288 0.956 0.178
Pt 0.384 0.391 0.632
Pt 0.391 0.384 0.132
Pt 0.495 0.832 0.606
Pt 0.505 0.168 0.394
Pt 0.609 0.616 0.868
Pt 0.616 0.609 0.368
Pt 0.712 0.044 0.822
Pt 0.832 0.495 0.106
Pt 0.956 0.288 0.678



Compound: Ca3Ac2Si4
Source: the Alexandria database
Functional: PBE
Structure: relaxed

Computed properties:
Symmetry: P2_1/c
Fermi-level density of states, states/eV/atom: 0.086
Raw formation energy, eV per formula unit: -5.31
Total moment, μB per formula unit: 0.0

Cell lengths 8.166, 8.122, 7.733 Å; angles 90.00, 105.67, 90.00 degrees
Element x y z (fractional)
Ca 0.000 0.000 0.000
Ca 0.000 0.500 0.500
Ca 0.256 0.181 0.749
Ca 0.256 0.319 0.249
Ca 0.744 0.681 0.751
Ca 0.744 0.819 0.251
Ac 0.301 0.683 0.914
Ac 0.301 0.817 0.414
Ac 0.699 0.183 0.586
Ac 0.699 0.317 0.086
Si 0.006 0.608 0.115
Si 0.006 0.892 0.615
Si 0.426 0.029 0.118
Si 0.426 0.471 0.618
Si 0.574 0.529 0.382
Si 0.574 0.971 0.882
Si 0.994 0.108 0.385
Si 0.994 0.392 0.885



Compound: Mg2BeOs
Source: the Alexandria database
Functional: PBE
Structure: relaxed

Computed properties:
Symmetry: Cmmm
Fermi-level density of states, states/eV/atom: 0.744
Calculated total energy, eV per formula unit: -16.92
Total moment, μB per formula unit: 0.0

Cell lengths 5.279, 8.306, 2.728 Å; angles 90.00, 90.00, 90.00 degrees
Element x y z (fractional)
Mg 0.250 0.250 0.000
Mg 0.250 0.750 0.000
Mg 0.750 0.250 0.000
Mg 0.750 0.750 0.000
Be 0.000 0.000 0.500
Be 0.500 0.500 0.500
Os 0.000 0.500 0.500
Os 0.500 0.000 0.500



Compound: Nd4Sm5Ho
Source: the Alexandria database
Functional: PBE
Structure: relaxed

Computed properties:
Symmetry: I4mm
Fermi-level density of states, states/eV/atom: 1.425
Calculated total energy, eV per formula unit: -44.96
Total moment, μB per formula unit: 0.0

Cell lengths 8.119, 8.119, 8.119 Å; angles 98.33, 98.33, 135.25 degrees
Element x y z (fractional)
Nd 0.000 0.324 0.324
Nd 0.000 0.676 0.676
Nd 0.324 0.000 0.324
Nd 0.676 0.000 0.676
Sm 0.283 0.283 0.623
Sm 0.283 0.661 0.000
Sm 0.661 0.283 0.000
Sm 0.661 0.661 0.377
Sm 0.745 0.745 0.000
Ho 0.212 0.212 0.000



Compound: NaCeEuTl
Source: the Alexandria database
Functional: PBE
Structure: relaxed

Computed properties:
Symmetry: F-43m
Fermi-level density of states, states/eV/atom: 3.643
Calculated total energy, eV per formula unit: -19.89
Total moment, μB per formula unit: 8.3

Cell lengths 7.980, 7.980, 7.980 Å; angles 90.00, 90.00, 90.00 degrees
So much for the data records =

I have received numerous questions over the past four months, so I guess it is time to answer some of them.

My oil sample is showing high potassium and aluminum, what could be causing these results? The first step is to weed out environmental causes, like delivering to plants that produce chemicals that could contain aluminum or potassium etc., as these could enter engine oil through intake. Next check sodium levels if ratio is 1 to 4 with potassium chances are you may have an antifreeze intrusion. If you are not losing antifreeze, then most likely it is not the source of the potassium. With the addition of aluminum, it is a good possibility that the charge air cooler is adding the contaminants. In a case I reviewed recently the problem started in Feb and rapidly increased then started to decrease, which is common for extended oil drain samples. The charge air cooler had been changed in Jan and the potassium was coming from the preservative that is used to keep charge air cooler from corroding on the shelf and the aluminum was leaching from the new cooler. You can also see this preservative on other internal parts so keep it in mind when you see it show up in sample.

┌──
CaMgIn2 after structural relaxation, computed with GGA-PBE.

The structure belongs to space group R-3m (No. 166, hexagonal axes); the cell edges are 3.5599, 3.5599 and 29.9334 Å and the angles 90.00°, 90.00° and 120.00°. Symmetry generates all atoms from Ca at (0.0000, 0.0000, 0.0000), Mg at (0.0000, 0.0000, 0.5000) and In at (0.0000, 0.0000, 0.2453).

For the formation energy from the elements, the calculation gives -0.160 eV/atom.

----------

[1]
Compound: TbY2In3Pt2
Source: the Open Quantum Materials Database
Functional: PBE
Structure: optimized geometry

Raw total energy: -5.619 eV/atom
Space group: Amm2, No. 38

Lattice parameters (Å, degrees): 3.6434 7.7129 7.7129 119.84 90.00 90.00
Last column: nearest neighbours and their distance in Å.
Sites, in units of the cell vectors:
In (0.5000, 0.9998, 0.2303)  2 Pt 3.05, 2 In 3.08, 4 Y 3.25-3.35, 2 Tb 3.36
Y (0.0000, 0.0000, 0.5795)  4 Pt 2.94-2.95, 2 In 3.25
Pt (0.5000, 0.3334, 0.6662)  2 Tb 2.94, 4 Y 2.94-2.95, 3 In 3.05
Y (0.0000, 0.5795, 0.0000)  4 Pt 2.94-2.95, 2 In 3.25
Tb (0.0000, 0.4210, 0.4210)  4 Pt 2.94, 2 In 3.26
In (0.5000, 0.7699, 0.7699)  2 Pt 3.05, 2 In 3.08, 2 Tb 3.26, 4 Y 3.35
In (0.5000, 0.2303, 0.9998)  2 Pt 3.05, 2 In 3.08, 4 Y 3.25-3.35, 2 Tb 3.36
Pt (0.5000, 0.6662, 0.3334)  2 Tb 2.94, 4 Y 2.94-2.95, 3 In 3.05

---

[2]
Compound: BaCoGe
Source: the Open Quantum Materials Database
Functional: PBE
Structure: optimized geometry

Raw total energy: -4.197 eV/atom
Space group: F-43m, No. 216

Lattice parameters (Å, degrees): 4.7264 4.7264 4.7264 60.00 60.00 60.00
Last column: nearest neighbours and their distance in Å.
Sites, in units of the cell vectors:
Ba (0.2500, 0.2500, 0.2500)  4 Co 2.89
Co (0.0000, 0.0000, 0.0000)  4 Ba 2.89, 4 Ge 2.89
Ge (0.7500, 0.7500, 0.7500)  4 Co 2.89

---

[3]
Compound: Na2TlW
Source: the Open Quantum Materials Database
Functional: PBE
Structure: optimized geometry

Raw total energy: -3.447 eV/atom
Space group: F-43m, No. 216

Lattice parameters (Å, degrees): 4.9832 4.9832 4.9832 60.00 60.00 60.00
Last column: nearest neighbours and their distance in Å.
Sites, in units of the cell vectors:
W (0.2500, 0.2500, 0.2500)  4 Tl 3.05, 4 Na 3.05
Na (0.0000, 0.0000, 0.0000)  4 Na 3.05, 4 W 3.05
Tl (0.5000, 0.5000, 0.5000)  4 W 3.05, 4 Na 3.05
Na (0.7500, 0.7500, 0.7500)  4 Tl 3.05, 4 Na 3.05

---

[4]
Compound: RbGeAu
Source: the Open Quantum Materials Database
Functional: PBE
Structure: optimized geometry

Relative energy among the computed polymorphs: 3.30 eV per formula unit
Space group: F-43m, No. 216

Lattice parameters (Å, degrees): 5.3219 5.3219 5.3219 60.00 60.00 60.00
Last column: nearest neighbours and their distance in Å.
Sites, in units of the cell vectors:
Rb (0.0000, 0.0000, 0.0000)  4 Ge 3.26, 4 Au 3.26
Au (0.2500, 0.2500, 0.2500)  4 Rb 3.26
Ge (0.7500, 0.7500, 0.7500)  4 Rb 3.26

---

[5]
Compound: BeFeTcB
Source: the Open Quantum Materials Database
Functional: PBE
Structure: optimized geometry
└──

I keep hearing bypass oil filter companies touting the micron level of their filters, what exactly is a micron and is there a big difference in filtration of 2 or 3 microns? A micron is one millionth of a meter or .00003937 inches. There are 25400 microns in an inch. So, the difference between 2 and 3 microns is not significant to say the least. To give you some prospective a red blood cell is 8 microns and bacteria is 2 microns, anything under 40 microns is not visible to the naked eye. The key is to remove the particulates 10-20 microns that become trapped between the tolerances of moving parts. If the particles are small enough, they flow through the gaps between the parts and actually become polishing agents instead of scratching and grinding away at the parts.

What steps should I take if I have high soot readings? Soot is caused by fuel that does not combust properly. The unburned fuel becomes ash and will contaminate the motor oil causing the viscosity to increase as well as oxidation and acid levels. It is also wasted money as it lowers the miles per gallon ratio and creates inefficiencies in the engine. Soot will increase oil temperatures as the solid particles retain more heat than clean liquid oils. The extra heat affects the oils additive package by cooking to potency from the chemicals and metals used to protect the engine. The first step is to understand that for a clean burn you need proper air to fuel ratios, correctly timed injection of quality diesel fuel and compression in cylinders. Start with the easy items; is air cleaner clean allowing for proper air flow? Is fuel filter clogged starving engine for fuel? Is fuel of a good quality free of bacteria or “bugs”? Taking care of these items usually solves the problem however if it persists have injectors and injector timing checked as well as compression etc. It is your money keeping your vehicle properly maintained will increase your engine efficiency improve fuel mileage and keep the money where it belongs in your pocket.

If you have any questions, please email them to me at:[email protected].